Second Amendment Caucus Co-Chair Rep. Lauren Boebert Takes Action to End Federal Gun Registry


Rep. Lauren Boebert stated, "As co-chair of the Second Amendment Caucus, I am honored to join my friend, Congressman Michael Cloud in introducing the No REGISTRY Rights Act. Even though a federal firearms registry is prohibited by law, today, the ATF has records of nearly 1 billion firearm transactions. Like many law-abiding gun owners, I don't trust the Biden regime or the federal government with this information. This bill ensures these records are deleted, restores privacy, and defends the Second Amendment."

Congressman Michael Cloud said, "The Second Amendment is clear, the right of the people to keep and bear Arms shall not be infringed. There is no reason for law-abiding American gun owners to be subjected to excessive scrutiny on the firearms they own by the federal government. My bill would dismantle ATF's record keeping, restore privacy for American gun owners, and reverse the groundwork laid in the creation of a federal firearms registry."

Rep. Thomas Massie stated, "Governments should not have a list, in any country, of the people who possess the firearms meant to keep those very governments in check. Gun registries are precursors to gun confiscation and should not exist. As Co-Chair of the Second Amendment caucus, I applaud Rep. Cloud for introducing legislation directing the Bureau of Alcohol, Tobacco, Firearms and Explosives (ATF) to delete existing transaction records that the Biden Administration is using to create a federal firearms registry."

**Quantum chemistry results, kept here for reference**
# C26H24Cl2MoN10O2

C26H24Cl2MoN10O2 as an isolated structure at a distorted geometry (ωB97M-V with the def2-TZVPD basis set, OMol25).

Positions of all 65 atoms, in Å:
1 Mo 0.055 -0.367 -0.459
2 Cl -4.046 3.387 -4.690
3 C -2.908 3.072 -3.452
4 C -2.892 1.750 -3.011
5 C -1.938 1.360 -2.044
6 N -1.800 0.092 -1.505
7 C -2.885 -0.768 -1.490
8 O -4.022 -0.594 -1.890
9 C -2.545 -2.034 -0.789
10 C -3.438 -3.070 -0.557
11 C -3.025 -4.318 -0.129
12 C -1.640 -4.560 -0.021
13 C -0.761 -3.502 -0.177
14 N -1.236 -2.279 -0.503
15 C -1.099 2.376 -1.396
16 C -1.133 3.687 -1.853
17 C -2.022 4.040 -2.888
18 Cl -2.031 5.627 -3.496
19 N -0.362 1.910 -0.319
20 C -0.052 2.837 0.642
21 O -0.580 3.961 0.730
22 C 1.015 2.498 1.599
23 C 1.084 3.326 2.732
24 C 2.072 3.159 3.672
25 C 3.083 2.222 3.422
26 C 2.910 1.380 2.309
27 N 1.909 1.542 1.406
28 H -3.604 1.030 -3.410
29 H -4.471 -2.833 -0.852
30 H -3.777 -5.046 0.065
31 H -1.224 -5.513 0.203
32 H 0.325 -3.612 -0.141
33 H -0.456 4.456 -1.477
34 H 0.326 4.112 2.821
35 H 2.089 3.789 4.551
36 H 3.919 2.131 4.067
37 H 3.544 0.503 2.091
38 N -0.488 -0.935 3.706
39 C -1.591 -0.103 3.572
40 C -1.590 0.303 2.254
41 N -0.515 -0.281 1.624
42 C 0.154 -0.989 2.522
43 C 1.330 -1.676 2.035
44 N 1.613 -1.546 0.742
45 C 2.752 -2.354 0.492
46 C 3.198 -2.858 1.695
47 N 2.274 -2.440 2.648
48 H -0.244 -1.472 4.550
49 H -2.273 0.117 4.382
50 H -2.290 0.932 1.717
51 H 3.249 -2.394 -0.475
52 H 4.047 -3.488 1.984
53 H 2.347 -2.600 3.657
54 N 1.910 0.655 -1.347
55 C 2.337 0.148 -2.652
56 C 1.245 -0.585 -3.384
57 N 0.651 -1.561 -2.477
58 H 1.728 1.689 -1.366
59 H 2.649 0.565 -0.654
60 H 3.196 -0.557 -2.504
61 H 2.716 0.965 -3.276
62 H 1.629 -1.004 -4.300
63 H 0.458 0.137 -3.694
64 H 1.294 -2.357 -2.339
65 H -0.169 -2.062 -2.880

Computed properties:
2S+1 = 3
net charge = +2
HOMO-LUMO gap (alpha / beta) = 5.690 / 5.046 eV
ΔE to the lowest compared entry with this formula, charge and spin = 0.000 eV
E_tot = -73236.87018 eV



# C26H24Cl5LaN4O3S

C26H24Cl5LaN4O3S as an isolated structure at a distorted geometry (ωB97M-V with the def2-TZVPD basis set, OMol25).

Positions of all 64 atoms, in Å:
1 La -0.486 1.328 0.208
2 S -2.379 2.393 2.202
3 C -1.067 3.088 3.000
4 C -1.072 3.773 4.277
5 C 0.097 4.213 4.791
6 C 1.300 4.024 4.169
7 C 1.283 3.321 2.951
8 N 0.150 2.905 2.419
9 H -2.029 4.003 4.683
10 H 0.181 4.820 5.694
11 H 2.269 4.348 4.557
12 H 2.215 3.091 2.398
13 Cl 3.524 0.754 1.820
14 C 3.603 0.875 0.014
15 C 2.446 0.860 -0.680
16 C 2.498 0.846 -2.021
17 Cl 1.083 0.732 -3.091
18 C 3.744 1.008 -2.680
19 Cl 4.038 1.050 -4.444
20 C 4.930 1.195 -1.918
21 Cl 6.419 1.444 -2.746
22 C 4.907 1.075 -0.557
23 Cl 6.420 1.044 0.337
24 C 2.803 -4.340 -0.572
25 N 1.994 -3.376 0.179
26 C 2.187 -3.146 1.487
27 C 1.393 -2.255 2.091
28 C 0.482 -1.457 1.342
29 O -0.109 -0.470 1.902
30 N 0.292 -1.732 0.053
31 C 1.000 -2.670 -0.597
32 O 0.908 -3.007 -1.784
33 H 2.082 -4.990 -1.104
34 H 3.224 -5.113 0.055
35 H 3.516 -3.778 -1.057
36 H 2.922 -3.610 1.992
**End of the quantum chemistry results**

Rep. Dan Bishop stated, "There is no excuse for the Biden Administration to violate the law by compiling massive amounts of data on America's law-abiding gun owners. The casualness with which this Administration abuses constitutional rights is appalling. Every Republican, and every member of Congress for that matter, should be fighting this by cosponsoring Rep. Cloud's No REGISTRY Rights Act."

Rep. Andrew Clyde said, "As a steadfast supporter of the Second Amendment and a Federal Firearms Licensee by trade, I find the ATF's egregious abuse of power deeply unsettling and in need of swift action from Congress in order to protect law-abiding gun owners' privacy and Second Amendment rights. We cannot allow unelected bureaucrats to blatantly ignore the law and dangerously trample on Americans' freedoms, which is why this legislation is so important in ensuring the federal government does not maintain a firearm registry. I'm proud to support Rep. Cloud's bill, and I will never stop defending Americans' unalienable right to keep and bear arms."

Rep. Paul Gosar stated, "Recent troubling news reports now shine a light on just how far Mr. Biden will go to weaken the rights of gun owners by altering existing federal laws prohibiting the federal government from stockpiling a federal database on gun owners. The government has no business whatsoever maintaining a gun and gun owner registry. Congress must oppose any efforts by the federal government creating a federal firearms registry, and I pleased to be a cosponsor of the No REGISTRY Rights Act."


The Firearm Owners' Protection Act of 1986 explicitly prohibits the federal government from establishing a federal firearms registry. Even so, the Bureau of Alcohol, Tobacco, Firearms, and Explosives (ATF) has retained 1 billion firearm transaction records from FFLs (Federal Firearms License) that went out of business. The Biden administration is also rolling out a new rulemaking to require FFLs to preserve all firearm transaction records and lay the groundwork for a national firearms registry.

The No Retaining Every Gun In a System That Restricts Your (REGISTRY) Rights Act directs the ATF to delete all existing firearm transaction records and require FFLs to destroy their firearm transaction records if they go out of business.

Second Amendment Caucus Co-Chairs Rep. Lauren Boebert and Rep. Thomas Massie joined Rep. Michael Cloud and other Members of Congress at a press conference introducing the No REGISTRY Rights Act. The full press conference is available here.

Gun Owners of America supports the No REGISTRY Rights Act.
